(Excerpt)
********
This record from Alexandria via LeMat-Bulk describes a relaxed structure of GaIrO3. The functional is PBE.

It has space group Pm-3m (No. 221), with a = 3.903 Å, b = 3.903 Å, c = 3.903 Å, α = 90.00°, β = 90.00° and γ = 90.00°. The inequivalent atoms are Ga at (0.000, 0.000, 0.000), Ir at (0.500, 0.500, 0.500) and O at (0.000, 0.500, 0.500).

For the formation energy (no corrections), the calculation gives -418.5 meV/atom. The value obtained for the total DFT energy (no corrections) is -5.771 eV/atom. The magnetization is 0.53 μB/cell.

---

This record from Alexandria via LeMat-Bulk describes a relaxed structure of GaIrO2. The functional is PBE.

It has space group R-3m (No. 166, hexagonal axes), with a = 2.8604 Å, b = 2.8604 Å, c = 18.6261 Å, α = 90.00°, β = 90.00° and γ = 120.00°. The inequivalent atoms are Ga at (0.0000, 0.0000, 0.0000), Ir at (0.0000, 0.0000, 0.5000) and O at (0.0000, 0.0000, 0.3902).

For the formation energy (no corrections), the calculation gives -1045.1 meV/atom. The value obtained for the total DFT energy (no corrections) is -6.496 eV/atom. The magnetization is 0.00 μB/cell.

---

This record from Alexandria via LeMat-Bulk describes a relaxed structure of GaIr2O6. The functional is PBE.

It has space group P321 (No. 150), with a = 8.7599 Å, b = 8.7599 Å, c = 4.2878 Å, α = 90.00°, β = 90.00° and γ = 120.00°. The inequivalent atoms are Ga at (0.0000, 0.0000, 0.0000), Ga at (0.3333, 0.6667, 0.5052), Ir at (0.0000, 0.3199, 0.5000), Ir at (0.0000, 0.6543, 0.0000), O at (0.1039, 0.8825, 0.7650), O at (0.1132, 0.5422, 0.7469) and O at (0.2159, 0.7701, 0.2645).

For the formation energy (no corrections), the calculation gives -964.4 meV/atom. The value obtained for the total DFT energy (no corrections) is -6.575 eV/atom. The magnetization is 0.60 μB/cell.

---

This record from Alexandria via LeMat-Bulk describes a relaxed structure of Ga2IrO. The functional is PBE.

It has space group I-42d (No. 122), with a = 5.851 Å, b = 5.851 Å, c = 6.690 Å, α = 90.00°, β = 90.00° and γ = 90.00°. The inequivalent atoms are Ga at (0.186, 0.250, 0.125), Ir at (0.000, 0.000, 0.500) and O at (0.000, 0.000, 0.000).

For the formation energy (no corrections), the calculation gives -578.9 meV/atom. The value obtained for the total DFT energy (no corrections) is -5.547 eV/atom. The magnetization is 0.00 μB/cell.

---

This record from Alexandria via LeMat-Bulk describes a relaxed structure of GaIrO2. The functional is PBE.

It has space group I-42d (No. 122), with a = 4.836 Å, b = 4.836 Å, c = 8.797 Å, α = 90.00°, β = 90.00° and γ = 90.00°. The inequivalent atoms are Ga at (0.000, 0.000, 0.000), Ir at (0.000, 0.000, 0.500) and O at (0.192, 0.250, 0.125).

For the formation energy (no corrections), the calculation gives -328.9 meV/atom. The value obtained for the total DFT energy (no corrections) is -5.780 eV/atom. The magnetization is 0.00 μB/cell.

---

This record from Alexandria via LeMat-Bulk describes a relaxed structure of GaIrO3. The functional is PBE.

It has space group Pm-3m (No. 221), with a = 3.757 Å, b = 3.757 Å, c = 3.757 Å, α = 90.00°, β = 90.00° and γ = 90.00°. The inequivalent atoms are Ga at (0.000, 0.000, 0.000), Ir at (0.500, 0.500, 0.500) and O at (0.000, 0.000, 0.500).
********

(Work order)
Return everything above without altering anything.

(Here it is)
This record from Alexandria via LeMat-Bulk describes a relaxed structure of GaIrO3. The functional is PBE.

It has space group Pm-3m (No. 221), with a = 3.903 Å, b = 3.903 Å, c = 3.903 Å, α = 90.00°, β = 90.00° and γ = 90.00°. The inequivalent atoms are Ga at (0.000, 0.000, 0.000), Ir at (0.500, 0.500, 0.500) and O at (0.000, 0.500, 0.500).

For the formation energy (no corrections), the calculation gives -418.5 meV/atom. The value obtained for the total DFT energy (no corrections) is -5.771 eV/atom. The magnetization is 0.53 μB/cell.

---

This record from Alexandria via LeMat-Bulk describes a relaxed structure of GaIrO2. The functional is PBE.

It has space group R-3m (No. 166, hexagonal axes), with a = 2.8604 Å, b = 2.8604 Å, c = 18.6261 Å, α = 90.00°, β = 90.00° and γ = 120.00°. The inequivalent atoms are Ga at (0.0000, 0.0000, 0.0000), Ir at (0.0000, 0.0000, 0.5000) and O at (0.0000, 0.0000, 0.3902).

For the formation energy (no corrections), the calculation gives -1045.1 meV/atom. The value obtained for the total DFT energy (no corrections) is -6.496 eV/atom. The magnetization is 0.00 μB/cell.

---

This record from Alexandria via LeMat-Bulk describes a relaxed structure of GaIr2O6. The functional is PBE.

It has space group P321 (No. 150), with a = 8.7599 Å, b = 8.7599 Å, c = 4.2878 Å, α = 90.00°, β = 90.00° and γ = 120.00°. The inequivalent atoms are Ga at (0.0000, 0.0000, 0.0000), Ga at (0.3333, 0.6667, 0.5052), Ir at (0.0000, 0.3199, 0.5000), Ir at (0.0000, 0.6543, 0.0000), O at (0.1039, 0.8825, 0.7650), O at (0.1132, 0.5422, 0.7469) and O at (0.2159, 0.7701, 0.2645).

For the formation energy (no corrections), the calculation gives -964.4 meV/atom. The value obtained for the total DFT energy (no corrections) is -6.575 eV/atom. The magnetization is 0.60 μB/cell.

---

This record from Alexandria via LeMat-Bulk describes a relaxed structure of Ga2IrO. The functional is PBE.

It has space group I-42d (No. 122), with a = 5.851 Å, b = 5.851 Å, c = 6.690 Å, α = 90.00°, β = 90.00° and γ = 90.00°. The inequivalent atoms are Ga at (0.186, 0.250, 0.125), Ir at (0.000, 0.000, 0.500) and O at (0.000, 0.000, 0.000).

For the formation energy (no corrections), the calculation gives -578.9 meV/atom. The value obtained for the total DFT energy (no corrections) is -5.547 eV/atom. The magnetization is 0.00 μB/cell.

---

This record from Alexandria via LeMat-Bulk describes a relaxed structure of GaIrO2. The functional is PBE.

It has space group I-42d (No. 122), with a = 4.836 Å, b = 4.836 Å, c = 8.797 Å, α = 90.00°, β = 90.00° and γ = 90.00°. The inequivalent atoms are Ga at (0.000, 0.000, 0.000), Ir at (0.000, 0.000, 0.500) and O at (0.192, 0.250, 0.125).

For the formation energy (no corrections), the calculation gives -328.9 meV/atom. The value obtained for the total DFT energy (no corrections) is -5.780 eV/atom. The magnetization is 0.00 μB/cell.

---

This record from Alexandria via LeMat-Bulk describes a relaxed structure of GaIrO3. The functional is PBE.

It has space group Pm-3m (No. 221), with a = 3.757 Å, b = 3.757 Å, c = 3.757 Å, α = 90.00°, β = 90.00° and γ = 90.00°. The inequivalent atoms are Ga at (0.000, 0.000, 0.000), Ir at (0.500, 0.500, 0.500) and O at (0.000, 0.000, 0.500).